### Entries
+++
Record 1
Density functional theory data (PBE-GGA) for a relaxed structure of Sb8Cl2O11.

Unit cell a=10.700 b=11.552 c=14.246 alpha=78.35 beta=76.41 gamma=72.83
Atoms (fractional coordinates):
Sb  0.362  0.888  0.729
Sb  0.297  0.627  0.391
Sb  0.993  0.379  0.813
Sb  0.309  0.861  0.134
Sb  0.840  0.850  0.683
Sb  0.309  0.127  0.860
Sb  0.276  0.377  0.639
Sb  0.369  0.650  0.974
Sb  0.018  0.614  0.558
Sb  0.691  0.139  0.866
Sb  0.175  0.912  0.559
Sb  0.842  0.579  0.968
Sb  0.158  0.421  0.032
Sb  0.012  0.101  0.068
Sb  0.969  0.149  0.689
Sb  0.660  0.857  0.505
Sb  0.665  0.598  0.754
Sb  0.007  0.621  0.187
Sb  0.988  0.899  0.932
Sb  0.340  0.143  0.495
Sb  0.691  0.873  0.140
Sb  0.703  0.373  0.609
Sb  0.631  0.350  0.026
Sb  0.982  0.386  0.442
Sb  0.188  0.666  0.798
Sb  0.724  0.623  0.361
Sb  0.031  0.851  0.311
Sb  0.335  0.402  0.246
Sb  0.825  0.088  0.441
Sb  0.812  0.334  0.202
Sb  0.638  0.112  0.271
Sb  0.160  0.150  0.317
Cl  0.530  0.816  0.913
Cl  0.492  0.894  0.351
Cl  0.508  0.106  0.649
Cl  0.499  0.638  0.168
Cl  0.491  0.370  0.403
Cl  0.501  0.362  0.832
Cl  0.470  0.184  0.087
Cl  0.509  0.630  0.597
O  0.215  0.271  0.572
O  0.990  0.240  0.141
O  0.788  0.173  0.299
O  0.238  0.013  0.810
O  0.762  0.987  0.190
O  0.223  0.536  0.322
O  0.185  0.094  0.457
O  0.982  0.264  0.358
O  0.217  0.573  0.963
O  0.827  0.863  0.018
O  0.777  0.464  0.678
O  0.796  0.718  0.211
O  0.902  0.272  0.568
O  0.010  0.760  0.859
O  0.974  0.529  0.089
O  0.783  0.427  0.037
O  0.009  0.996  0.379
O  0.785  0.729  0.428
O  0.922  0.532  0.312
O  0.257  0.272  0.335
O  0.767  0.203  0.727
O  0.743  0.728  0.665
O  0.695  0.257  0.150
O  0.110  0.971  0.161
O  0.243  0.767  0.061
O  0.233  0.797  0.273
O  0.098  0.728  0.432
O  0.204  0.282  0.789
O  0.781  0.461  0.468
O  0.991  0.004  0.621
O  0.212  0.827  0.701
O  0.305  0.743  0.850
O  0.078  0.468  0.688
O  0.181  0.455  0.168
O  0.757  0.233  0.939
O  0.815  0.906  0.543
O  0.819  0.545  0.832
O  0.709  0.000  0.400
O  0.291  0.000  0.600
O  0.018  0.736  0.642
O  0.026  0.471  0.911
O  0.173  0.137  0.982
O  0.219  0.539  0.532
O  0.890  0.029  0.839

=====

Record 2
Density functional theory data (PBE-GGA) for a relaxed structure of BaCa3.

Unit cell a=13.326 b=13.326 c=13.326 alpha=17.35 beta=17.35 gamma=17.35
Atoms (fractional coordinates):
Ba  0.000  0.000  0.000
Ca  0.246  0.246  0.246
Ca  0.500  0.500  0.500
Ca  0.754  0.754  0.754

Properties
Magnetization: 0.0 Bohr magnetons per cell

=====

Record 3
Density functional theory data (PBE-GGA) for a relaxed structure of SiO2.

Unit cell a=5.277 b=14.084 c=22.680 alpha=90.00 beta=90.00 gamma=90.00
Atoms (fractional coordinates):
Si  0.500  0.144  0.500
Si  0.000  0.856  0.000
Si  0.000  0.011  0.500
Si  0.500  0.989  0.000
Si  0.500  0.227  0.372
Si  0.000  0.773  0.128
Si  0.000  0.773  0.872
Si  0.500  0.227  0.628
Si  0.500  0.405  0.300
Si  0.000  0.595  0.200
Si  0.000  0.595  0.800
Si  0.500  0.405  0.700
Si  0.500  0.079  0.128
Si  0.000  0.921  0.372
Si  0.000  0.921  0.628
Si  0.500  0.079  0.872
Si  0.000  0.384  0.220
Si  0.500  0.616  0.280
Si  0.500  0.616  0.720
Si  0.000  0.384  0.780
Si  0.000  0.178  0.177
Si  0.500  0.822  0.323
Si  0.500  0.822  0.677
Si  0.000  0.178  0.823
Si  0.000  0.129  0.316
Si  0.500  0.871  0.184
Si  0.500  0.871  0.816
Si  0.000  0.129  0.684
O  0.500  0.212  0.557
O  0.000  0.788  0.943
O  0.000  0.788  0.057
O  0.500  0.212  0.443
O  0.750  0.077  0.500
O  0.250  0.923  0.000
O  0.750  0.923  0.000
O  0.250  0.077  0.500
O  0.000  0.944  0.442
O  0.500  0.056  0.058
O  0.500  0.056  0.942
O  0.000  0.944  0.558
O  0.500  0.341  0.360
O  0.000  0.659  0.140
O  0.000  0.659  0.860
O  0.500  0.341  0.640
O  0.749  0.179  0.343
O  0.249  0.821  0.157
O  0.751  0.821  0.843
O  0.251  0.179  0.657
O  0.751  0.821  0.157
O  0.251  0.179  0.343
O  0.749  0.179  0.657
O  0.249  0.821  0.843
O  0.500  0.518  0.318
O  0.000  0.482  0.182
+++

### Work order
It remains to retype the data further above word for word.

### Response
Record 1
Density functional theory data (PBE-GGA) for a relaxed structure of Sb8Cl2O11.

Unit cell a=10.700 b=11.552 c=14.246 alpha=78.35 beta=76.41 gamma=72.83
Atoms (fractional coordinates):
Sb  0.362  0.888  0.729
Sb  0.297  0.627  0.391
Sb  0.993  0.379  0.813
Sb  0.309  0.861  0.134
Sb  0.840  0.850  0.683
Sb  0.309  0.127  0.860
Sb  0.276  0.377  0.639
Sb  0.369  0.650  0.974
Sb  0.018  0.614  0.558
Sb  0.691  0.139  0.866
Sb  0.175  0.912  0.559
Sb  0.842  0.579  0.968
Sb  0.158  0.421  0.032
Sb  0.012  0.101  0.068
Sb  0.969  0.149  0.689
Sb  0.660  0.857  0.505
Sb  0.665  0.598  0.754
Sb  0.007  0.621  0.187
Sb  0.988  0.899  0.932
Sb  0.340  0.143  0.495
Sb  0.691  0.873  0.140
Sb  0.703  0.373  0.609
Sb  0.631  0.350  0.026
Sb  0.982  0.386  0.442
Sb  0.188  0.666  0.798
Sb  0.724  0.623  0.361
Sb  0.031  0.851  0.311
Sb  0.335  0.402  0.246
Sb  0.825  0.088  0.441
Sb  0.812  0.334  0.202
Sb  0.638  0.112  0.271
Sb  0.160  0.150  0.317
Cl  0.530  0.816  0.913
Cl  0.492  0.894  0.351
Cl  0.508  0.106  0.649
Cl  0.499  0.638  0.168
Cl  0.491  0.370  0.403
Cl  0.501  0.362  0.832
Cl  0.470  0.184  0.087
Cl  0.509  0.630  0.597
O  0.215  0.271  0.572
O  0.990  0.240  0.141
O  0.788  0.173  0.299
O  0.238  0.013  0.810
O  0.762  0.987  0.190
O  0.223  0.536  0.322
O  0.185  0.094  0.457
O  0.982  0.264  0.358
O  0.217  0.573  0.963
O  0.827  0.863  0.018
O  0.777  0.464  0.678
O  0.796  0.718  0.211
O  0.902  0.272  0.568
O  0.010  0.760  0.859
O  0.974  0.529  0.089
O  0.783  0.427  0.037
O  0.009  0.996  0.379
O  0.785  0.729  0.428
O  0.922  0.532  0.312
O  0.257  0.272  0.335
O  0.767  0.203  0.727
O  0.743  0.728  0.665
O  0.695  0.257  0.150
O  0.110  0.971  0.161
O  0.243  0.767  0.061
O  0.233  0.797  0.273
O  0.098  0.728  0.432
O  0.204  0.282  0.789
O  0.781  0.461  0.468
O  0.991  0.004  0.621
O  0.212  0.827  0.701
O  0.305  0.743  0.850
O  0.078  0.468  0.688
O  0.181  0.455  0.168
O  0.757  0.233  0.939
O  0.815  0.906  0.543
O  0.819  0.545  0.832
O  0.709  0.000  0.400
O  0.291  0.000  0.600
O  0.018  0.736  0.642
O  0.026  0.471  0.911
O  0.173  0.137  0.982
O  0.219  0.539  0.532
O  0.890  0.029  0.839

=====

Record 2
Density functional theory data (PBE-GGA) for a relaxed structure of BaCa3.

Unit cell a=13.326 b=13.326 c=13.326 alpha=17.35 beta=17.35 gamma=17.35
Atoms (fractional coordinates):
Ba  0.000  0.000  0.000
Ca  0.246  0.246  0.246
Ca  0.500  0.500  0.500
Ca  0.754  0.754  0.754

Properties
Magnetization: 0.0 Bohr magnetons per cell

=====

Record 3
Density functional theory data (PBE-GGA) for a relaxed structure of SiO2.

Unit cell a=5.277 b=14.084 c=22.680 alpha=90.00 beta=90.00 gamma=90.00
Atoms (fractional coordinates):
Si  0.500  0.144  0.500
Si  0.000  0.856  0.000
Si  0.000  0.011  0.500
Si  0.500  0.989  0.000
Si  0.500  0.227  0.372
Si  0.000  0.773  0.128
Si  0.000  0.773  0.872
Si  0.500  0.227  0.628
Si  0.500  0.405  0.300
Si  0.000  0.595  0.200
Si  0.000  0.595  0.800
Si  0.500  0.405  0.700
Si  0.500  0.079  0.128
Si  0.000  0.921  0.372
Si  0.000  0.921  0.628
Si  0.500  0.079  0.872
Si  0.000  0.384  0.220
Si  0.500  0.616  0.280
Si  0.500  0.616  0.720
Si  0.000  0.384  0.780
Si  0.000  0.178  0.177
Si  0.500  0.822  0.323
Si  0.500  0.822  0.677
Si  0.000  0.178  0.823
Si  0.000  0.129  0.316
Si  0.500  0.871  0.184
Si  0.500  0.871  0.816
Si  0.000  0.129  0.684
O  0.500  0.212  0.557
O  0.000  0.788  0.943
O  0.000  0.788  0.057
O  0.500  0.212  0.443
O  0.750  0.077  0.500
O  0.250  0.923  0.000
O  0.750  0.923  0.000
O  0.250  0.077  0.500
O  0.000  0.944  0.442
O  0.500  0.056  0.058
O  0.500  0.056  0.942
O  0.000  0.944  0.558
O  0.500  0.341  0.360
O  0.000  0.659  0.140
O  0.000  0.659  0.860
O  0.500  0.341  0.640
O  0.749  0.179  0.343
O  0.249  0.821  0.157
O  0.751  0.821  0.843
O  0.251  0.179  0.657
O  0.751  0.821  0.157
O  0.251  0.179  0.343
O  0.749  0.179  0.657
O  0.249  0.821  0.843
O  0.500  0.518  0.318
O  0.000  0.482  0.182